_Exercise_
It remains to count the lines underneath that contain the word "B1" and give the number alone.
_Listing_
/*
Computed, not measured: crystalline Co6BP at its relaxed geometry at the PBE-GGA level of DFT.

Values from the calculation:
VASP energy in eV/atom: -7.089
DFT formation energy in eV per atom: -0.25
Total moment in μB per cell: 12.20

Unit cell a=4.2512 b=6.5982 c=6.3814 alpha=92.76 beta=109.46 gamma=71.21
With the nearest neighbours (Å) after each atom.
Positions (direct):
Co1 0.9851 0.3488 0.3821  2 B 2.13-2.14, 2 P 2.20-2.29
Co2 0.9518 0.6512 0.6179  2 B 2.13-2.14, 2 P 2.20-2.29
Co3 0.5331 0.0492 0.6096  1 B 2.18, 2 P 2.21-2.27, 2 Co 2.41-2.43
Co4 0.3667 0.9566 0.1899  1 B 2.09, 1 P 2.27, 1 Co 2.31
P1 0.5164 0.2498 0.3249  9 Co 2.20-2.32
B1 0.8024 0.6763 0.2634  8 Co 2.07-2.23
Co5 0.6796 0.1896 0.0094  1 B 2.11, 1 P 2.32
Co6 0.3549 0.6132 0.3259  2 B 2.15-2.23, 2 P 2.27-2.32, 1 Co 2.39
Co7 0.0785 0.4072 0.0189  1 B 2.07, 1 P 2.21
Co8 0.1334 0.0434 0.8101  1 B 2.09, 1 P 2.27, 1 Co 2.31
Co9 0.9727 0.9508 0.3904  1 B 2.18, 2 P 2.21-2.27, 2 Co 2.41-2.43
Co10 0.4668 0.5928 0.9811  1 B 2.07, 1 P 2.21
Co11 0.8599 0.8104 0.9906  1 B 2.11, 1 P 2.32
B2 0.2152 0.3237 0.7366  8 Co 2.07-2.23
P2 0.4413 0.7502 0.6751  9 Co 2.20-2.32
Co12 0.6422 0.3868 0.6741  2 B 2.15-2.23, 2 P 2.27-2.32, 1 Co 2.39

----------

Entry 1:
Compound: PrTlCd
Source: Materials Project
Functional: PBE
Structure: optimized geometry

```
PrTlCd
1.0
0.059 5.056 0.066
-0.073 -2.470 -4.412
-7.633 0.088 0.077
Cd Tl Pr
2 2 2
direct
0.667 0.333 0.750
0.333 0.667 0.250
0.667 0.333 0.250
0.333 0.667 0.750
0.000 0.000 0.000
0.000 0.000 0.500
```

Calculated values
Space group: P6_3/mmc
Crystal system: hexagonal
Formation enthalpy at 0 K: -0.338 eV/atom
E: -3.027 eV per atom
Theoretical density: 8.99 Mg/m³
Volume: 169.1 Å³ per cell

=====

Entry 2:
Compound: Li2Mg
Source: Materials Project
Functional: PBE
Structure: optimized geometry

```
Li2Mg
1.0
2.522 -1.086 4.525
3.953 -3.519 -0.076
5.704 1.891 0.773
Li Mg
4 2
direct
0.750 0.580 0.752
0.420 0.250 0.748
0.580 0.750 0.252
0.250 0.420 0.248
0.913 0.087 0.250
0.087 0.913 0.750
```

Calculated values
Space group: C2/c
Crystal system: monoclinic
Formation enthalpy at 0 K: -0.030 eV/atom
E: -1.836 eV per atom
Theoretical density: 1.04 Mg/m³
Volume: 122.0 Å³ per cell

=====

Entry 3:
Compound: MgNb2P2O10
Source: Materials Project
Functional: PBE
Structure: optimized geometry

```
MgNb2P2O10
1.0
-3.369 -2.635 1.169
2.793 -4.826 -3.708
3.748 -2.128 5.125
O P Mg Nb
10 2 1 2
direct
0.680 0.244 0.557
0.320 0.756 0.443
0.720 0.935 0.236
0.202 0.206 0.206
0.680 0.557 0.244
0.280 0.764 0.065
0.280 0.065 0.764
0.720 0.236 0.935
0.320 0.443 0.756
0.798 0.794 0.794
0.500 0.748 0.252
0.500 0.252 0.748
0.000 0.000 0.000
0.601 0.250 0.250
0.399 0.750 0.750
```

Calculated values
Space group: C2/m
ΔE to the lowest computed polymorph: 0 meV/atom
Crystal system: monoclinic
Formation enthalpy at 0 K: -2.786 eV/atom
E: -7.802 eV per atom
Theoretical density: 3.62 Mg/m³
Volume: 198.4 Å³ per cell

=====

Entry 4:
Compound: K6ReN4
Source: Materials Project
Functional: PBE
Structure: optimized geometry

```
K6ReN4
1.0
8.492 0.000 0.000
0.000 8.492 0.000
0.000 0.000 6.968
N K Re
8 12 2
direct
0.000 0.182 0.850
0.318 0.500 0.350
0.818 0.000 0.150
0.682 0.500 0.350
0.182 0.000 0.150
0.500 0.318 0.650
0.000 0.818 0.850
0.500 0.682 0.650
0.290 0.710 0.000
0.290 0.290 0.000
0.000 0.500 0.240
0.710 0.290 0.000
0.210 0.790 0.500
0.000 0.500 0.740
0.500 0.000 0.760
0.710 0.710 0.000
0.790 0.790 0.500
0.500 0.000 0.260
0.210 0.210 0.500
0.790 0.210 0.500
0.000 0.000 0.000
0.500 0.500 0.500
```

Calculated values
Space group: P4_2/nmc
Crystal system: tetragonal
Formation enthalpy at 0 K: -0.155 eV/atom
E: -4.792 eV per atom
Theoretical density: 3.15 Mg/m³
Volume: 502.5 Å³ per cell

=====

Entry 5:
Compound: Ho3P6Pd20
Source: Materials Project
Functional: PBE
Structure: optimized geometry

```
Ho3P6Pd20
1.0
7.829 0.865 3.638
1.282 5.964 6.170
1.259 -2.466 8.223
Pd Ho P
20 3 6
direct
0.345 0.655 0.000
0.000 0.345 0.655
0.345 0.000 0.000
0.616 0.616 0.152
*/
_Written answer_
1